**Exercise:**
Print the whole of the notes further below word for word.

**Contents:**
-- begin --
[1]
Calculated powder diffraction line list of BaIn2AgRh for λ = 1.5418 Å (Cu Kα), from a DFT-relaxed cell (GGA-PBE, Alexandria).
Intensities are scaled so that the largest is 100.

Atomic structure:
Unit cell a=5.1150 b=5.1150 c=5.4437 alpha=90.00 beta=90.00 gamma=90.00
Space group P4/mmm (No. 123)
Symmetry-distinct sites (fractional):
Ba: 0.0000 0.0000 0.0000
In: 0.0000 0.5000 0.5000
Ag: 0.5000 0.5000 0.0000
Rh: 0.5000 0.5000 0.5000

Most intense lines, 2θ from 10° to 90°, by angle:
Position (°2θ), d/Å, I/Imax, hkl
23.87, 3.728, 19, 1 0 1
29.65, 3.013, 100, 1 1 1
32.91, 2.722, 47, 0 0 2
35.09, 2.557, 78, 2 0 0
48.87, 1.864, 60, 2 0 2
50.47, 1.808, 27, 2 2 0
59.63, 1.550, 26, 3 1 1
61.57, 1.506, 29, 2 2 2

=====

[2]
Calculated powder diffraction line list of K2GeBS4 for λ = 1.5418 Å (Cu Kα), from a DFT-relaxed cell (GGA-PBE, Alexandria).
Intensities are scaled so that the largest is 100.

Atomic structure:
Unit cell a=5.7761 b=13.3484 c=21.9941 alpha=90.00 beta=90.00 gamma=90.00
Space group Fddd (No. 70, origin choice 2)
Symmetry-distinct sites (fractional):
K: 0.1250 0.1250 0.3054
Ge: 0.1250 0.1250 0.6250
B: 0.1250 0.1250 0.1250
S: 0.0709 0.2890 0.4256

Most intense lines, 2θ from 10° to 90°, by angle:
Position (°2θ), d/Å, I/Imax, hkl
15.53, 5.706, 48, 0 2 2
16.12, 5.499, 38, 0 0 4
27.77, 3.213, 29, 0 2 6
28.09, 3.177, 100, 1 3 3
32.56, 2.750, 22, 0 0 8
38.38, 2.345, 19, 1 3 7
39.73, 2.269, 21, 2 0 6
47.86, 1.901, 19, 0 6 6

=====

[3]
Calculated powder diffraction line list of TaV6W12 for λ = 1.5418 Å (Cu Kα), from a DFT-relaxed cell (GGA-PBE, Alexandria).
Intensities are scaled so that the largest is 100.

Atomic structure:
Unit cell a=11.0780 b=11.0780 c=9.0996 alpha=90.00 beta=90.00 gamma=120.00
Space group R-3m (No. 166, hexagonal axes)
Symmetry-distinct sites (fractional):
Ta: 0.0000 0.0000 0.0000
V: 0.0394 0.5197 0.7099
W: 0.0000 0.3646 0.5000
W: 0.0849 0.1698 0.3723

Most intense lines, 2θ from 10° to 90°, by angle:
Position (°2θ), d/Å, I/Imax, hkl
27.90, 3.198, 22, 3 0 0
33.69, 2.660, 51, 1 1 3
35.14, 2.554, 100, 1 3 1
41.01, 2.201, 63, 3 0 3
42.61, 2.122, 28, 0 4 2
51.70, 1.768, 22, 5 0 2
68.47, 1.370, 23, 0 3 6
69.34, 1.355, 22, 7 0 1

=====

[4]
Calculated powder diffraction line list of LiDyCd17 for λ = 1.5418 Å (Cu Kα), from a DFT-relaxed cell (GGA-PBE, Alexandria).
Intensities are scaled so that the largest is 100.

Atomic structure:
Unit cell a=9.9660 b=9.9660 c=15.2480 alpha=90.00 beta=90.00 gamma=120.00
Space group R3m (No. 160, hexagonal axes)
Symmetry-distinct sites (fractional):
Li: 0.0000 0.0000 0.0000
Dy: 0.0000 0.0000 0.3620
Cd: 0.0000 0.0000 0.6067
Cd: 0.0000 0.0000 0.7957
Cd: 0.0012 0.3063 0.6926
Cd: 0.0347 0.5173 0.5521
Cd: 0.0453 0.5226 0.1839
Cd: 0.1031 0.5515 0.8384

Most intense lines, 2θ from 10° to 90°, by angle:
Position (°2θ), d/Å, I/Imax, hkl
31.09, 2.877, 35, 3 0 0
31.31, 2.857, 15, 0 2 4
35.32, 2.541, 21, 0 0 6
35.87, 2.504, 100, 0 3 3
36.06, 2.491, 39, 2 0 5
40.31, 2.237, 25, 2 2 3
55.31, 1.661, 17, 3 3 0
64.82, 1.438, 14, 6 0 0

=====

[5]
Calculated powder diffraction line list of UAl5Ir for λ = 1.5418 Å (Cu Kα), from a DFT-relaxed cell (GGA-PBE, Alexandria).
Intensities are scaled so that the largest is 100.

Atomic structure:
Unit cell a=4.2966 b=4.2966 c=6.8517 alpha=90.00 beta=90.00 gamma=90.00
Space group P4/mmm (No. 123)
Symmetry-distinct sites (fractional):
U: 0.0000 0.0000 0.0000
Al: 0.0000 0.5000 0.3002
Al: 0.5000 0.5000 0.0000
Ir: 0.0000 0.0000 0.5000

Most intense lines, 2θ from 10° to 90°, by angle:
Position (°2θ), d/Å, I/Imax, hkl
20.67, 4.297, 100, 1 0 0
26.01, 3.426, 24, 0 0 2
29.40, 3.038, 32, 1 1 0
33.45, 2.679, 62, 1 0 2
39.65, 2.273, 73, 1 1 2
42.06, 2.148, 33, 2 0 0
47.31, 1.922, 24, 2 1 0
54.77, 1.676, 31, 2 1 2

=====

[6]
Calculated powder diffraction line list of BaLiUTe3 for λ = 1.5418 Å (Cu Kα), from a DFT-relaxed cell (GGA-PBE, Alexandria).
Intensities are scaled so that the largest is 100.

Atomic structure:
-- stop --

**Completed:**
[1]
Calculated powder diffraction line list of BaIn2AgRh for λ = 1.5418 Å (Cu Kα), from a DFT-relaxed cell (GGA-PBE, Alexandria).
Intensities are scaled so that the largest is 100.

Atomic structure:
Unit cell a=5.1150 b=5.1150 c=5.4437 alpha=90.00 beta=90.00 gamma=90.00
Space group P4/mmm (No. 123)
Symmetry-distinct sites (fractional):
Ba: 0.0000 0.0000 0.0000
In: 0.0000 0.5000 0.5000
Ag: 0.5000 0.5000 0.0000
Rh: 0.5000 0.5000 0.5000

Most intense lines, 2θ from 10° to 90°, by angle:
Position (°2θ), d/Å, I/Imax, hkl
23.87, 3.728, 19, 1 0 1
29.65, 3.013, 100, 1 1 1
32.91, 2.722, 47, 0 0 2
35.09, 2.557, 78, 2 0 0
48.87, 1.864, 60, 2 0 2
50.47, 1.808, 27, 2 2 0
59.63, 1.550, 26, 3 1 1
61.57, 1.506, 29, 2 2 2

=====

[2]
Calculated powder diffraction line list of K2GeBS4 for λ = 1.5418 Å (Cu Kα), from a DFT-relaxed cell (GGA-PBE, Alexandria).
Intensities are scaled so that the largest is 100.

Atomic structure:
Unit cell a=5.7761 b=13.3484 c=21.9941 alpha=90.00 beta=90.00 gamma=90.00
Space group Fddd (No. 70, origin choice 2)
Symmetry-distinct sites (fractional):
K: 0.1250 0.1250 0.3054
Ge: 0.1250 0.1250 0.6250
B: 0.1250 0.1250 0.1250
S: 0.0709 0.2890 0.4256

Most intense lines, 2θ from 10° to 90°, by angle:
Position (°2θ), d/Å, I/Imax, hkl
15.53, 5.706, 48, 0 2 2
16.12, 5.499, 38, 0 0 4
27.77, 3.213, 29, 0 2 6
28.09, 3.177, 100, 1 3 3
32.56, 2.750, 22, 0 0 8
38.38, 2.345, 19, 1 3 7
39.73, 2.269, 21, 2 0 6
47.86, 1.901, 19, 0 6 6

=====

[3]
Calculated powder diffraction line list of TaV6W12 for λ = 1.5418 Å (Cu Kα), from a DFT-relaxed cell (GGA-PBE, Alexandria).
Intensities are scaled so that the largest is 100.

Atomic structure:
Unit cell a=11.0780 b=11.0780 c=9.0996 alpha=90.00 beta=90.00 gamma=120.00
Space group R-3m (No. 166, hexagonal axes)
Symmetry-distinct sites (fractional):
Ta: 0.0000 0.0000 0.0000
V: 0.0394 0.5197 0.7099
W: 0.0000 0.3646 0.5000
W: 0.0849 0.1698 0.3723

Most intense lines, 2θ from 10° to 90°, by angle:
Position (°2θ), d/Å, I/Imax, hkl
27.90, 3.198, 22, 3 0 0
33.69, 2.660, 51, 1 1 3
35.14, 2.554, 100, 1 3 1
41.01, 2.201, 63, 3 0 3
42.61, 2.122, 28, 0 4 2
51.70, 1.768, 22, 5 0 2
68.47, 1.370, 23, 0 3 6
69.34, 1.355, 22, 7 0 1

=====

[4]
Calculated powder diffraction line list of LiDyCd17 for λ = 1.5418 Å (Cu Kα), from a DFT-relaxed cell (GGA-PBE, Alexandria).
Intensities are scaled so that the largest is 100.

Atomic structure:
Unit cell a=9.9660 b=9.9660 c=15.2480 alpha=90.00 beta=90.00 gamma=120.00
Space group R3m (No. 160, hexagonal axes)
Symmetry-distinct sites (fractional):
Li: 0.0000 0.0000 0.0000
Dy: 0.0000 0.0000 0.3620
Cd: 0.0000 0.0000 0.6067
Cd: 0.0000 0.0000 0.7957
Cd: 0.0012 0.3063 0.6926
Cd: 0.0347 0.5173 0.5521
Cd: 0.0453 0.5226 0.1839
Cd: 0.1031 0.5515 0.8384

Most intense lines, 2θ from 10° to 90°, by angle:
Position (°2θ), d/Å, I/Imax, hkl
31.09, 2.877, 35, 3 0 0
31.31, 2.857, 15, 0 2 4
35.32, 2.541, 21, 0 0 6
35.87, 2.504, 100, 0 3 3
36.06, 2.491, 39, 2 0 5
40.31, 2.237, 25, 2 2 3
55.31, 1.661, 17, 3 3 0
64.82, 1.438, 14, 6 0 0

=====

[5]
Calculated powder diffraction line list of UAl5Ir for λ = 1.5418 Å (Cu Kα), from a DFT-relaxed cell (GGA-PBE, Alexandria).
Intensities are scaled so that the largest is 100.

Atomic structure:
Unit cell a=4.2966 b=4.2966 c=6.8517 alpha=90.00 beta=90.00 gamma=90.00
Space group P4/mmm (No. 123)
Symmetry-distinct sites (fractional):
U: 0.0000 0.0000 0.0000
Al: 0.0000 0.5000 0.3002
Al: 0.5000 0.5000 0.0000
Ir: 0.0000 0.0000 0.5000

Most intense lines, 2θ from 10° to 90°, by angle:
Position (°2θ), d/Å, I/Imax, hkl
20.67, 4.297, 100, 1 0 0
26.01, 3.426, 24, 0 0 2
29.40, 3.038, 32, 1 1 0
33.45, 2.679, 62, 1 0 2
39.65, 2.273, 73, 1 1 2
42.06, 2.148, 33, 2 0 0
47.31, 1.922, 24, 2 1 0
54.77, 1.676, 31, 2 1 2

=====

[6]
Calculated powder diffraction line list of BaLiUTe3 for λ = 1.5418 Å (Cu Kα), from a DFT-relaxed cell (GGA-PBE, Alexandria).
Intensities are scaled so that the largest is 100.

Atomic structure: